im trying to do a basic program usin processing ide
here goes the code:
• Unrelated to this article: records of crystals:
********
Structure and theoretical powder XRD pattern of TaBe2Pd (a structure optimized by DFT (GGA-PBE); Cu Kα (weighted mean of Kα1 and Kα2)).
Kinematic intensities with the Lorentz-polarization factor, no thermal factor.

```
data_TaBe2Pd
_chemical_formula_sum 'Ta1 Be2 Pd1'
_symmetry_space_group_name_H-M 'P 1'
_symmetry_Int_Tables_number 1
_cell_length_a 2.830
_cell_length_b 2.830
_cell_length_c 6.182
_cell_angle_alpha 90.00
_cell_angle_beta 90.00
_cell_angle_gamma 90.00
loop_
_symmetry_equiv_pos_as_xyz
'x,y,z'
loop_
_atom_site_label
_atom_site_type_symbol
_atom_site_fract_x
_atom_site_fract_y
_atom_site_fract_z
Ta1 Ta 0.000 0.000 0.000
Be1 Be 0.500 0.500 0.282
Be2 Be 0.500 0.500 0.718
Pd1 Pd 0.000 0.000 0.500
```

The 12 most intense peaks (2θ = 10–90°), low angle first:
- 2θ = 14.3°, rel. 17.6
- 2θ = 28.9°, rel. 63.6
- 2θ = 31.6°, rel. 100.0
- 2θ = 43.4°, rel. 99.1
- 2θ = 45.3°, rel. 43.8
- 2θ = 54.6°, rel. 43.3
- 2θ = 66.0°, rel. 14.2
- 2θ = 69.3°, rel. 21.5
- 2θ = 73.6°, rel. 17.7
- 2θ = 75.1°, rel. 16.7
- 2θ = 78.1°, rel. 17.3
- 2θ = 82.3°, rel. 30.9
********
//The MIT License (MIT) - See Licence.txt for details
Diffraction record for Na3B3H2O7. The X-ray powder pattern is computed, not measured: it uses a structure optimized by DFT (GGA-PBE) and Cu Kα, 1.54184 Å.
Intensities are scaled so that the largest is 100.

Peak list (10 most intense, 10 to 90 degrees two-theta, sorted by position)
d/Å	Position (°2θ)	I/Imax
4.810	18.44	80
3.639	24.46	96
3.183	28.04	64
2.902	30.81	84
2.761	32.42	61
2.438	36.88	48
2.187	41.27	100
1.958	46.37	68
1.875	48.55	69
1.820	50.13	59

a b c (Å): 8.9837 7.2773 9.6208
angles (deg): 90.00 90.00 90.00
Space group Pnma (No. 62)
Unique sites:
Na 0.0389 0.2500 0.1698 (multiplicity 4)
Na 0.2259 0.5009 0.8034 (multiplicity 8)
B 0.0166 0.7500 0.2847 (multiplicity 4)
B 0.0957 0.7500 0.5425 (multiplicity 4)
B 0.1749 0.2500 0.5207 (multiplicity 4)
H 0.0873 0.6240 0.1083 (multiplicity 8)
O 0.0363 0.5830 0.1951 (multiplicity 8)
O 0.0599 0.2500 0.4209 (multiplicity 4)
O 0.1280 0.7500 0.3997 (multiplicity 4)
O 0.1365 0.2500 0.6602 (multiplicity 4)
O 0.1813 0.7500 0.9780 (multiplicity 4)
O 0.1982 0.7500 0.6424 (multiplicity 4)

Diffraction record for NaBH4O4. The X-ray powder pattern is computed, not measured: it uses a structure optimized by DFT (GGA-PBE) and Cu Kα, 1.54184 Å.
Intensities are scaled so that the largest is 100.

Peak list (10 most intense, 10 to 90 degrees two-theta, sorted by position)
d/Å	Position (°2θ)	I/Imax
5.276	16.81	100
5.050	17.56	45
3.813	23.33	51
2.886	30.98	39
2.876	31.10	17
2.774	32.27	24
2.669	33.58	24
2.525	35.56	44
2.445	36.76	32
2.338	38.50	19

a b c (Å): 6.2148 10.5513 5.9623
angles (deg): 90.00 112.27 90.00
Space group P2_1/c (No. 14)
Unique sites:
Na 0.2396 0.0169 0.2514 (multiplicity 4)
B 0.2712 0.5899 0.2284 (multiplicity 4)
H 0.0214 0.1194 0.5747 (multiplicity 4)
H 0.1367 0.6946 0.4293 (multiplicity 4)
H 0.3763 0.0904 0.8562 (multiplicity 4)
H 0.4965 0.7428 0.3492 (multiplicity 4)
O 0.1397 0.6030 0.3877 (multiplicity 4)
O 0.1448 0.6447 0.9841 (multiplicity 4)
O 0.3132 0.0471 0.6961 (multiplicity 4)
O 0.4935 0.1512 0.1637 (multiplicity 4)

----------

No. 1
OsCl4: theoretical PXRD pattern (Cu Kα X-rays), based on a crystal structure in Alexandria, relaxed with PBE.

Structural model:
```
data_OsCl4
_chemical_formula_sum 'Os4 Cl16'
_symmetry_space_group_name_H-M 'C 1 2/c 1'
_symmetry_Int_Tables_number 15
_cell_length_a 7.446
_cell_length_b 14.869
_cell_length_c 5.978
_cell_angle_alpha 90.00
_cell_angle_beta 120.12
_cell_angle_gamma 90.00
loop_
_symmetry_equiv_pos_as_xyz
'x,y,z'
'-x,-y,-z'
'-x,y,-z+1/2'
'x,-y,z+1/2'
'x+1/2,y+1/2,z'
'-x+1/2,-y+1/2,-z'
'-x+1/2,y+1/2,-z+1/2'
'x+1/2,-y+1/2,z+1/2'
loop_
_atom_site_label
_atom_site_fract_x
_atom_site_fract_y
_atom_site_fract_z
Os1 0.000 0.060 0.250
Cl1 0.207 0.058 0.710
Cl2 0.215 0.165 0.232
```

Principal peaks in the range 2θ from 10° to 90°, in order of rising 2θ:
- 2θ 11.9, I 498, (0 2 0)
- 2θ 15.0, I 1000, (1 1 0)
- 2θ 16.8, I 110, (1 1 -1)
- 2θ 20.9, I 244, (0 2 1)
- 2θ 23.9, I 238, (1 3 -1)
- 2θ 30.7, I 110, (1 1 -2)
- 2θ 34.3, I 323, (2 4 -1)
The piece goes on:
//Copyright (c) 2013 Mick Grierson, Matthew Yee-King, Marco Gillies
Maxim maxim;
AudioPlayer player;
void setup()
Inserted here: calculated crystals:
[1]
Starting from a cell relaxed with PBE, the X-ray powder pattern of SmAgSnS3 was calculated for Cu Kα, 1.54184 Å.
Lines closer than 0.1° are merged.

a b c (Å): 11.9236 4.0499 12.4467
angles (deg): 90.00 90.00 90.00
Element x y z (fractional)
Sm: 0.0103 0.2500 0.1557
Sm: 0.4897 0.7500 0.6557
Sm: 0.5103 0.2500 0.3443
Sm: 0.9897 0.7500 0.8443
Ag: 0.1989 0.7500 0.3917
Ag: 0.3011 0.2500 0.8917
Ag: 0.6989 0.7500 0.1083
Ag: 0.8011 0.2500 0.6083
Sn: 0.1742 0.2500 0.5813
Sn: 0.3258 0.7500 0.0813
Sn: 0.6742 0.2500 0.9187
Sn: 0.8258 0.7500 0.4187
S: 0.0139 0.7500 0.3130
S: 0.1068 0.2500 0.9504
S: 0.2503 0.2500 0.2038
S: 0.2497 0.7500 0.7038
S: 0.3932 0.7500 0.4504
S: 0.4861 0.2500 0.8130
S: 0.5139 0.7500 0.1870
S: 0.6068 0.2500 0.5496
S: 0.7503 0.2500 0.2962
S: 0.7497 0.7500 0.7962
S: 0.8932 0.7500 0.0496
S: 0.9861 0.2500 0.6870

The 8 most intense peaks (2θ = 15–90°), by angle:
2theta, intensity, hkl
23.50, 74, 3 0 1
27.32, 100, 1 1 2
27.57, 41, 2 1 1
30.85, 37, 0 1 3
34.41, 45, 2 1 3
43.15, 39, 3 1 4
44.75, 35, 0 2 0
46.54, 55, 5 1 2

***

[2]
Starting from a cell relaxed with PBE, the X-ray powder pattern of GdSnPO was calculated for Cu Kα, 1.54184 Å.
Lines closer than 0.1° are merged.

a b c (Å): 4.1073 4.1073 9.7060
angles (deg): 90.00 90.00 90.00
Element x y z (fractional)
Gd: 0.2500 0.2500 0.1070
Gd: 0.7500 0.7500 0.8930
Sn: 0.2500 0.7500 0.5000
Sn: 0.7500 0.2500 0.5000
P: 0.2500 0.2500 0.7235
P: 0.7500 0.7500 0.2765
O: 0.2500 0.7500 0.0000
O: 0.7500 0.2500 0.0000

The 8 most intense peaks (2θ = 15–90°), by angle:
2theta, intensity, hkl
18.28, 42, 0 0 2
28.47, 74, 1 0 2
32.17, 100, 1 1 1
35.32, 44, 1 0 3
36.04, 27, 1 1 2
44.10, 45, 2 0 0
48.91, 41, 1 1 4
53.33, 26, 2 1 2

***

[3]
Starting from a cell relaxed with PBE, the X-ray powder pattern of KSmTe4 was calculated for Cu Kα, 1.54184 Å.
Lines closer than 0.1° are merged.

a b c (Å): 6.9080 6.9080 9.0055
angles (deg): 90.00 90.00 90.00
Element x y z (fractional)
K: 0.2500 0.2500 0.0000
K: 0.7500 0.7500 0.0000
Sm: 0.2500 0.2500 0.5000
Sm: 0.7500 0.7500 0.5000
Te: 0.1050 0.6050 0.2903
Te: 0.1050 0.8950 0.7097
Te: 0.3950 0.6050 0.7097
Te: 0.3950 0.8950 0.2903
Te: 0.6050 0.1050 0.7097
Te: 0.6050 0.3950 0.2903
Te: 0.8950 0.1050 0.2903
Te: 0.8950 0.3950 0.7097

The 8 most intense peaks (2θ = 15–90°), by angle:
2theta, intensity, hkl
26.93, 65, 1 1 2
30.59, 100, 2 1 1
32.68, 28, 2 0 2
35.23, 17, 2 1 2
41.33, 36, 3 1 0
41.97, 24, 2 1 3
50.14, 19, 2 1 4
57.11, 22, 4 0 2

* * * * *

# 1
Structure and calculated X-ray powder pattern of LaPr3Pb2 (DFT lattice parameters and positions (PBE); Cu Kα, 1.54184 Å).
Intensities are scaled so that the largest is 100.

Cell and atoms:
```
6
Lattice="4.7342 0.0000 0.0000 0.0000 4.7342 0.0000 0.0000 0.0000 9.0661" Properties=species:S:1:pos:R:3 pbc="T T T"
La 0.0000 0.0000 0.0000
Pr 0.0000 2.3671 3.1819
Pr 2.3671 0.0000 5.8842
Pr 2.3671 2.3671 0.0000
Pb 0.0000 2.3671 6.4957
Pb 2.3671 0.0000 2.5704
```

Main lines, sorted by position (2θ = 10–90°):
28.42°, I 78.8
size(640, 960);
maxim = new Maxim(this);
player = maxim.loadFile("mykbeat.wav");
void draw()
// code that happens every frame
void mouseDragged()
// code that happens when the mouse moves
// with the button down
void mousePressed()
// code that happens when the mouse button
// is pressed
void mouseReleased()
// code that happens when the mouse button
// is released
no !!! even the examples are not working!!!!!!
This is the error. I am using Processing 2.1 on Windows 7 64bit. Java working fine. The environment variables are also set properly.
ps. The "screenshot" you uploaded has such a low resolution that it is impossible to read what's there. I had to spend like couple of minutes deciphering "Error from inside Android Tools, chekc the console".
maybe lose some lib, try to add lib at sketch menu, import lib...
do you have java properly installed?
or show your code, do you use special java commands?
im trying to do a basic program usin processing ide here goes the code:
how to solve the error???
Do you have the Maxim API code in the same folder as this code? And your .wav file in a "Data" folder inside the project folder?
Do you have this error only when running this sketch? Can you run a sketch coming with Processing? (the examples)
no !!! even the examples are not working!!!!!!
This is the error. I am using Processing 2.1 on Windows 7 64bit. Java working fine. The environment variables are also set properly.
looks like you're using this Maxim library from the crappy coursera course on digital media.
There were templates for sketches for android programs:
If you want to run "Maxim" based code on android you need to use this template.
Looks like what you're doing now, is just using Java-mode version of maxim and of course it doesn't compile on android.
Here's direct link to android template android tempalte for maxim based apps
ps. The "screenshot" you uploaded has such a low resolution that it is impossible to read what's there. I had to spend like couple of minutes deciphering "Error from inside Android Tools, chekc the console".
im really sorry for the image sir. so what is actually going wrong !! please tell me .
i tried the template which u gave .... im getting the same error...please do help me out!!!
@dimkir sir even the examples provided in processing are also not getting the same error...pls do help !!!
Are there any other errors in the "console"? For example if you scroll the console up?
You may also find useful to skim through the posts in the old android forum: